Data =
........
Record 1
Starting from a crystal structure in Alexandria, relaxed with GGA-PBE, the X-ray diffraction stick pattern of Tb6InNi was computed for a wavelength of 1.5418 Å.

Largest 10 diffraction maxima, by angle, 15° ≤ 2θ ≤ 90°:
2θ (°), intensity, index
24.65, 14, 1 0 -2
25.48, 10, 1 1 -1
29.56, 100, 2 -1 0
29.66, 15, -2 1 2
29.81, 24, 0 0 2
39.55, 25, 1 1 1
39.68, 16, -2 1 3
44.88, 17, 3 0 -2
44.95, 9, -3 3 1
52.67, 11, 2 -1 2

Crystal structure
```
Tb6InNi
1.0
6.982 0.000 0.000
-3.487 6.065 0.000
-3.467 -2.015 5.998
Tb In Ni
6 1 1
Direct
0.050 0.080 0.259 Tb
0.289 0.709 0.259 Tb
0.319 0.529 0.741 Tb
0.681 0.471 0.259 Tb
0.711 0.291 0.741 Tb
0.950 0.920 0.741 Tb
0.500 0.000 0.000 In
0.500 0.500 0.500 Ni
```



Record 2
Starting from a crystal structure in Alexandria, relaxed with GGA-PBE, the X-ray diffraction stick pattern of CaDyPtAu was computed for a wavelength of 1.5418 Å.

Largest 10 diffraction maxima, by angle, 15° ≤ 2θ ≤ 90°:
2θ (°), intensity, index
16.00, 32, 0 0 2
24.42, 32, 0 1 1
31.84, 91, 1 1 1
32.32, 29, 0 0 4
38.36, 33, 1 0 4
39.46, 100, 1 1 3
40.88, 31, 2 0 0
47.09, 21, 0 2 0
64.09, 16, 2 2 0
73.48, 16, 3 1 3

Crystal structure
```
CaDyPtAu
1.0
4.415 0.000 0.000
0.000 3.859 0.000
0.000 0.000 11.079
Ca Dy Pt Au
2 2 2 2
Direct
0.000 0.000 0.000 Ca
0.000 0.500 0.500 Ca
0.500 0.000 0.280 Dy
0.500 0.500 0.780 Dy
0.000 0.000 0.733 Pt
0.000 0.500 0.233 Pt
0.500 0.000 0.560 Au
0.500 0.500 0.060 Au
```



Record 3
Starting from a crystal structure in Alexandria, relaxed with GGA-PBE, the X-ray diffraction stick pattern of NbGeAs was computed for a wavelength of 1.5418 Å.

Largest 10 diffraction maxima, by angle, 15° ≤ 2θ ≤ 90°:
2θ (°), intensity, index
36.89, 62, 1 1 2
37.21, 100, 1 2 1
43.36, 13, 2 2 0
48.02, 17, 1 0 3
48.66, 16, 0 3 1
48.81, 17, 3 0 1
70.39, 13, 0 2 4
71.36, 9, 2 4 0
74.96, 15, 2 3 3
........
Exercise =
Could you count the lines further up that contain the word "NbGeAs" and give the number alone?
Here it is =
1